Marco Pasqua
Accessibility consultant and inspirational speaker
Linkedin Marco Pasqua, speaker, consultant, entrepreneur
Meaningful access consulting
Marco's deeply realistic and human vision is so touching and inspiring. His experience as an expert speaker in inclusion is felt and appreciated in each of his stories and remarks. With his personal experience and remarkable achievements in the field of inclusion, Marco truly knows how to inspire us to get involved in providing inclusive solutions for everyone. Whether with his TEDxStanleyPark presentation, his involvement within the Rick Hansen Foundation™ (RHFAC) or his accessibility consulting business, Marco remains focused on the social impact of his work and actively contributes to building concrete projects in the field of inclusion. « I approach people as human beings. I don't use pronouns. My idea behind inclusion is that the more boxes we put ourselves in, the more we divide ourselves. We are all human beings, let's treat each other with love and respect.
I don’t like terms like diverse-abilities or differently abled. I think terms like these just try to soften the fact that there is something wrong with having a disability and I don't think there is anything wrong with having a disability. This is how you live your life. This is a fact of reality. I was born with a disability and I chose to live with it. It made me the person I am today ». - Marco Pasqua
Marco, tell us a little about yourself and your background.
I was born on July 4, 1985, and my parents later discovered that I had cerebral palsy. Being born three months premature, I was the size of only two packs of butter. I was really small. They didn't know what it would mean for my life, but they weren't discouraged. My father was an immigrant, he came to Canada from Italy and so I'm a first-generation Canadian and like a lot of families, they just wanted to create a better life for us. Being born in Canada is something I am very grateful for. Going through primary and secondary school, I didn't feel less valued. In elementary school, I was somewhat bullied, because the kids just didn't understand disability. As I grew up, I discovered that I was one of the lucky ones in high school. I graduated in 2000. At that time, there wasn't as much pressure for inclusion as we see in society today. Still, I feel like more people were open to everyone, at least in my experience, regardless of ability, skin colour, or sexual orientation. It wasn't a topic of conversation. It was a good thing for me. I was accepted by a lot of different people, like the sports crowd because I participated in wheelchair athletics, horseback riding, weightlifting, swimming and wheelchair basketball. I was respected by the other athletes. That’s why I didn’t want to explore accessibility as a career path. I actually got a degree in video game design. I landed a job at one of the biggest video game studios in the world, Electronic Arts, after graduating. I worked in the video game industry for about five years, then during the 2008 recession, I lost my job. That was definitely my wake-up call. I've been trying to get back into the video game industry and technology because the reason I love technology is because I love being able to create characters and video game worlds that have skills and abilities beyond mine. When you're a game designer and you're able to create characters that have skills and abilities way beyond what you have, I guess it was my way of creating an inclusive world and I didn't know it at the time. It's funny, my girlfriend at the time who is now my wife (she's been with me now for 16 years) and when this happened I remember calling her on the phone. I thought she would be devastated that I told her I was losing my job but instead, she was jumping for joy on the other end of the line. I was wondering why are you excited; I just told you I lost my job. She said to me: You love what you do but I don't think it's what you're supposed to do. I think you're supposed to light a fire in people and use your voice to spread positivity and show people that there is a different way of doing things. You should try your luck and become a professional speaker. At the time, I knew nothing about starting a business, but with his encouragement, I started giving talks and the rest is history.
== Unrelated to this article: calculated molecules ==
____________
(1)
{
  "formula": "C17H22FN3O3",
  "method": "ωB97M-V with the def2-TZVPD basis set",
  "elements": ["O", "C", "N", "C", "C", "C", "C", "C", "C", "H", "H", "F", "H", "H", "H", "C", "N", "C", "C", "N", "C", "O", "C", "H", "C", "H", "H", "C", "H", "C", "H", "O", "H", "H", "C", "H", "C", "H", "H", "H", "H", "H", "H", "H", "H", "H"],
  "coordinates": [[1.54618, 1.68760, 0.54423], [1.02441, 0.95810, 1.35030], [0.90613, 1.23300, 2.68463], [1.34333, 2.35699, 3.39336], [2.01306, 3.41761, 2.78788], [2.41918, 4.50122, 3.54381], [2.15393, 4.51975, 4.90051], [1.49087, 3.47816, 5.52394], [1.08781, 2.39813, 4.76386], [0.56880, 1.57722, 5.23821], [1.29779, 3.51953, 6.58397], [2.55075, 5.57856, 5.63834], [2.93866, 5.32878, 3.08807], [2.21233, 3.38751, 1.73040], [0.44484, 0.53752, 3.25530], [0.41282, -0.40228, 1.01136], [0.47384, -0.68810, -0.40143], [-0.42224, 0.14841, -1.18114], [-0.18436, -0.09944, -2.66771], [-0.38125, -1.50311, -2.97018], [-1.42975, -1.88483, -3.72205], [-2.17180, -1.08040, -4.25847], [-1.62381, -3.40638, -3.90275], [-0.70951, -3.82031, -4.34443], [-2.86804, -3.70712, -4.75729], [-2.60454, -4.18226, -5.69910], [-3.37608, -2.76503, -4.96916], [-3.72128, -4.60958, -3.86331], [-4.78730, -4.42640, -3.97054], [-3.20382, -4.24476, -2.47409], [-3.33316, -5.02973, -1.72808], [-1.81541, -4.04628, -2.64363], [-3.67980, -3.31942, -2.11794], [-3.51639, -5.66084, -4.06929], [0.48957, -2.34364, -2.18568], [1.52552, -2.07481, -2.41992], [0.23866, -2.08860, -0.69803], [-0.79458, -2.39677, -0.45624], [0.92952, -2.69722, -0.10992], [0.32125, -3.39481, -2.40319], [0.84399, 0.17495, -2.91834], [-0.88219, 0.48087, -3.27195], [-1.48036, -0.06554, -0.93969], [-0.20929, 1.19256, -0.95471], [0.99483, -1.16430, 1.54044], [-0.62406, -0.43138, 1.40420]],
  "atomic_forces_ev_per_a": [[0.2, 0.2, -0.2], [-0.2, -0.3, 0.3], [-0.2, -0.3, 0.2], [0.1, 0.3, 0.1], [0.0, -0.1, -0.1], [0.0, 0.1, 0.4], [0.0, -0.1, -0.1], [0.1, 0.2, 0.0], [0.1, 0.0, -0.2], [-0.1, -0.1, 0.1], [0.0, 0.0, 0.1], [0.0, 0.0, 0.0], [0.1, 0.1, 0.0], [0.0, 0.0, 0.0], [0.1, 0.1, -0.2], [0.0, -0.1, -0.4], [0.0, 0.0, 0.3], [0.1, 0.2, -0.2], [-0.3, 0.4, 0.1], [0.3, 0.3, 0.1], [-0.1, -0.4, -0.1], [-0.2, 0.2, -0.1], [0.0, 0.1, -0.4], [-0.1, 0.1, 0.1], [0.0, 0.1, 0.0], [0.0, 0.0, 0.0], [0.1, -0.1, 0.0], [0.2, 0.0, 0.2], [-0.1, 0.0, 0.0], [-0.5, -0.1, 0.0], [0.0, 0.1, 0.0], [0.3, 0.0, 0.0], [0.0, -0.1, 0.0], [-0.1, 0.0, 0.0], [0.0, -0.4, 0.3], [0.0, -0.1, 0.0], [0.1, -0.2, -0.2], [0.1, 0.0, 0.0], [0.0, 0.0, 0.0], [0.1, 0.1, 0.0], [0.0, 0.0, 0.0], [0.1, 0.0, 0.1], [0.0, 0.0, 0.0], [-0.1, 0.0, 0.0], [-0.1, 0.0, 0.0], [0.1, 0.0, 0.0]],
  "fmax_ev_per_a": 0.50,
  "homo_ev": -8.547,
  "homo_lumo_gap_ev": 9.079,
  "e_above_lowest_kj_mol": 4.73,
  "e_lumo_ev": 0.53,
  "charge": 0,
  "e_tot_ev": -31316.81988,
  "smiles": "O=C(CN1CCN(C(=O)[C@@H]2CCCO2)CC1)Nc1ccc(F)cc1"
}

---

(2)
{
  "formula": "C17H22N2O3",
  "method": "ωB97M-V with the def2-TZVPD basis set",
____________
What does inclusion mean to you?
I think it's a complicated question because obviously, it's different for each person. To me, inclusion means that someone can go into any environment and feel accepted and able to be involved in anything that is done by someone else without having to ask. I think it's really important. If someone goes to a place where they live, work, play or learn, it doesn't feel like they're excluding anyone. Individuals do not need to adapt but the environment must adapt to them. They should never have to ask. This is the really important part. I also think people can go to extremes on both levels. Some people may feel entitled and tell you that you should do all these things for them. But you also have to meet people where they are, meet them in the middle. If you walk into an establishment and it doesn't automatically respond to your needs, it could just mean that the person has never been exposed to that information before. This does not mean that they are trying to exclude you and that they are doing so with malicious intent. They may not have the necessary knowledge.
This is why I always approach conversations with an advocacy approach of openness and awareness rather than an activist approach. Someone who raises awareness steps into a situation, recognizes that there is a problem, and offers solutions to that problem to create a true ally in a situation rather than creating more barriers by attacking other people. If I really want to convince people and create change, I need them to understand that I recognize that they weren't trying to exclude me, to meet them where they are and not leave them there. Take them with you on the journey of inclusion. This person will feel capable of creating real, meaningful change. A truly inclusive environment means you are allowed to make mistakes and learn from them. We can make things better together.
What are the solutions that make your travel, your activities, and your daily life easier?
If I want to go ahead and do something with my daughter, who doesn't have a disability, she always expects Dad to be able to do whatever she can. So I call ahead to inquire and determine if an environment I want to enter with her would be accessible to me. I don't think it's helpful when you go to a website and it just says the location is fully accessible or not. What does it mean? For me, fully accessible means something different because I have a mobility device. But if I'm blind and you say fully accessible, does that mean everything is written in Braille? What if I don't read Braille but I'm blind? Instead, having a website and staff that are knowledgeable about the accessibility features they have is better. They can list them and share the information afterwards. Now I can figure out what makes the most sense to me.
How do these solutions positively impact your life?
I live in Surrey, BC where there are many parks and playgrounds, over 300 in my town alone. My daughter loves going to the park. There are also fully accessible parks here in Surrey. I would not know that if I had not been able to do the research, go on the website and get the information.
The thing that I’m proud of is being able to create documents for accessibleemployer.ca and helping inform other businesses across Canada on how you can be more inclusive and that those documents are for free. The sight of relief that I hear from an employer that is just starting out being inclusive and they want to make the right changes but they have no idea where to start, or how much it’s going to cost and they assume it’s going to cost a lot of money. I love being able to open their eyes and tell them it doesn’t have to cost a lot of money to be inclusive. You just need to have an open mind. The biggest barrier is attitude. If we can get pass the stigmas, we will be so much further ahead. So we have to inform people. Access to information opens people’s minds and makes inclusivity a reality that truly benefits people.
What are your best suggestions for inclusive solutions?
To ask the right questions. Ask people with disabilities what they need, so that they can let you know what makes the most sense to them. It’s going to be different for every person, but as long as you know which question to start with, you have a better outline.
Some people need grab bars, some people need a lowered bed, and some people need ceiling tracks because they need help being transferred. There is so much to consider. I think that people in the hospitality and tourism industry do need to receive this training, almost more than anyone else. The world is opening more, it’s the perfect opportunity to gain knowledge, not just for inclusive training, but also for compassion training. Be more compassionate towards other people.
What are your top recommendations for solutions that promote inclusion?
First and foremost, be open-minded to perspectives other than your own. People may feel that they received training in the past, but that doesn’t mean that someone else with live experience may not be able to teach you something, even if they are lower on the hierarchy of employment. For example, I start a new job in a company, but I want to help educate the CEO. Just because I’m a new employee that does not mean that I’m not able to help the CEO. That CEO needs to be open and willing to have that conversation with me and get vulnerable.
That would be my second tip, be vulnerable with people. Be willing to create an environment where vulnerability is accepted. The more you open yourself to being vulnerable, the more people around you are going to have an understanding of why you need certain accommodations. And that’s okay for everybody to ask for those types of things. And those personal requests will be assessed on a person-to-person basis, but everybody is allowed to. Just because I present as somebody who uses a wheelchair it does not mean you should assume that I need accommodations. The businesses that are the most successful have a program that is ruled out to the entire company, that says «Hey, every six months, we are going to have a conversation and determine what are the things we can do for you to operate at your best to support our company to be its best? ». You don’t have to ask a question like what kind of medical support is needed to do your job better, but rather what kind of support have you received in the past that has helped you be the most productive in your work environment. You are not breaking any HR rules by asking better questions, you are opening the door to say it’s okay for you to express yourself right now, you can tell me as much or as little as you want. What I am trying to do is help you do your job the best that you can and help our business do better. It's a win-win situation.
The third thing that helps create a more welcoming and inclusive environment is the willingness to adapt. You may have received the training, you may become more vulnerable and you may think that you have all these things done, however, life changes. We saw that in the last three years. We all had to adapt to working from home. For years the disability community has been asking for work-from-home capabilities and wasn’t it funny that the businesses were saying we don’t have the infrastructure to do it? Yet, two to three weeks into the pandemic all of a sudden all these businesses can go on Zoom and Teams and do these things. Isn’t that funny that we have been asking for it for the past 5-10 years and all of sudden, it affected everybody and then they were willing to adapt? It should not take a global pandemic in order for us to find solutions that support everybody.
What are your aspirations or desires regarding inclusion?
It’s like something that Rick Hansen always says, he dreams of the day when he is out of a job.
Ultimately, I would love, if we get to a place, especially now with the rise of artificial intelligence and how that can be used for good to improve certain things, I would love the day where I no longer say I am an accessibility consultant because things are automatically made universally and universally designed. That would be a dream for me. But I think that a smaller step would be that people are unified in their approach to accessibility and inclusion. With the Accessible Canada Act being passed in 2019, we are only starting to see the effect of that now. Here in British Columbia, all the businesses that are federally and provincially mandated need to have an accessibility strategy outline in place by September 2023. This is why my wife and I are so busy, we are working with so many cities. It should not take an arbitrary deadline for people to want to rush to get things in place. I would like to be in a place where people are doing these things because they recognize the benefits to the community and society and not because the government told them to. I would love to see more cities collaborating.
Is there a specific inclusive personality you admire, and what qualities about them do you find particularly noteworthy? Obviously, it’s Rick Hansen. I think the most noteworthy thing about Rick is that he was making these movements and doing these things before it was ever popular. I would say that Rick Hansen is the original gangster when it comes to accessibility and inclusion. That is why I look out to him a lot. Nobody had a blueprint on how to create these conversations in society. He used his influence slowly. He didn’t know that his motion tour would be as big of a success as it was, but he just started with something. That’s why I look up to him so much, guys like him and Terry Fox.
Terry Fox was another guy who ran because of a certain circumstance about him having cancer and wanting to raise awareness. Guys like Terry Fox would have had no idea that his impact would still be carrying across the country today, over 40 years later. For one guy to say you know what? I want people to know what it is that we are going through and how they can make a difference. So really, Rick set the bar. I look at that as a friendly challenge to exceed that, let’s go above the bar, let’s see what we can do to create what we like to call a legacy. People start things out in society and it’s never intended to end when they pass away. Even in the work that I do, I wanna be remembered for the positive things that I was able to do. I always like to say this, you are only as good as the last person that remembers you. It’s not about ego, I just mean what we did created an impact and it meant something to people. That they were inspired to do the next thing and that is exactly what Rick has done for me.